Source
- - -
Record 1
Material: SrSmScO4
Method: DFT, PBE-GGA
State: optimized geometry

Computed properties:
The spin magnetization is 0.0 μB per cell. The calculation puts the formation energy at -3.63 eV/atom. The calculation puts the mass density at 5.59 g cm⁻³. Its crystal system is orthorhombic.

```
14
Lattice="-3.940 3.072 4.576 -1.610 -2.968 -5.873 -0.749 -5.122 2.793" Properties=species:S:1:pos:R:3 pbc="T T T"
Sr -2.541 -0.637 -1.707
Sr -3.401 -1.938 1.870
Sm -2.599 -7.401 -1.999
Sm -4.061 -0.081 4.838
O -2.027 0.160 2.661
O -1.368 -5.079 -0.576
O -4.250 -5.025 -1.249
O -3.665 -4.197 2.819
O -4.909 0.214 1.987
O -2.901 -2.647 -0.327
O -3.862 2.126 4.165
O -2.220 -5.660 -3.479
Sc -4.093 -3.556 4.700
Sc -2.572 -3.967 -1.838
```

Record 2
Material: Sm2ScTaO7
Method: DFT, PBE-GGA
State: optimized geometry

Computed properties:
The spin magnetization is 0.0 μB per cell. The calculation puts the formation energy at -3.79 eV/atom. The calculation puts the mass density at 7.20 g cm⁻³. Its crystal system is orthorhombic.

```
22
Lattice="-3.706 3.767 5.278 3.706 -3.767 5.278 3.706 3.767 -5.278" Properties=species:S:1:pos:R:3 pbc="T T T"
Ta 0.000 3.767 0.000
Ta 0.000 0.000 0.000
Sc 1.853 1.884 -2.639
Sc 1.853 -1.884 2.639
O 3.706 1.884 -1.612
O 2.235 4.014 3.956
O 2.235 -0.246 3.956
O 5.941 -0.246 1.322
O 1.471 -0.246 1.322
O 0.000 1.884 6.890
O 3.706 1.884 1.354
O 0.000 1.884 0.702
O -2.235 4.014 3.956
O 0.000 1.884 3.924
O 2.235 0.246 6.600
O 1.471 4.014 1.322
O 3.706 1.884 4.576
O 1.471 3.521 -1.322
Sm 0.000 0.000 5.278
Sm 3.706 0.000 0.000
Sm -1.853 1.884 2.639
Sm 1.853 1.884 2.639
```

Record 3
Material: ScSnO3
Method: DFT, PBE-GGA
State: optimized geometry

Computed properties:
The spin magnetization is 0.9 μB per cell. The calculation puts the formation energy at -2.27 eV/atom. The calculation puts the mass density at 5.07 g cm⁻³. Its crystal system is cubic.

```
5
Lattice="-3.833 1.206 0.849 -1.178 -3.926 0.261 0.889 0.001 4.010" Properties=species:S:1:pos:R:3 pbc="T T T"
O -0.589 -1.963 0.131
O -1.917 0.603 0.425
O 0.444 0.000 2.005
Sn -2.061 -1.360 2.560
Sc 0.000 0.000 0.000
```

Record 4
Material: SrTb2Sc2O7
Method: DFT, PBE-GGA
State: optimized geometry

Computed properties:
The spin magnetization is 0.0 μB per cell. The calculation puts the formation energy at -3.72 eV/atom. The calculation puts the mass density at 6.09 g cm⁻³. Its crystal system is tetragonal.

```
12
Lattice="-2.861 -2.861 0.000 -2.861 2.861 0.000 2.861 0.000 -10.121" Properties=species:S:1:pos:R:3 pbc="T T T"
Tb -2.861 0.000 -3.705
Tb 0.000 0.000 -6.416
O 0.000 0.000 -4.285
O 0.000 0.000 0.000
O -1.430 1.431 -7.816
O -1.430 -1.431 -2.305
O -1.430 -1.431 -7.816
O -1.430 1.431 -2.305
O -2.861 0.000 -5.836
Sc 0.000 0.000 -2.079
Sc -2.861 0.000 -8.041
Sr -2.861 0.000 0.000
```

Record 5
Material: TbScO3
Method: DFT, PBE-GGA
State: optimized geometry

Computed properties:
The calculation puts the formation energy at -3.96 eV/atom. The calculation puts the mass density at 6.63 g cm⁻³. Its crystal system is orthorhombic.

```
20
Lattice="5.473 0.000 0.000 0.000 5.763 0.000 0.000 0.000 8.000" Properties=species:S:1:pos:R:3 pbc="T T T"
O 3.439 0.318 2.000
O 3.788 1.761 4.538
O 1.051 1.120 0.538
O 4.422 4.643 4.538
O 1.686 4.002 3.462
O 3.788 1.761 7.461
O 4.422 4.643 7.461
O 4.771 3.199 2.000
O 2.034 5.446 6.000
O 1.686 4.002 0.538
O 0.702 2.564 6.000
O 1.051 1.120 3.462
Tb 5.365 0.357 6.000
Tb 2.845 3.239 6.000
Tb 0.109 5.406 2.000
Tb 2.628 2.524 2.000
Sc 0.000 2.882 0.000
Sc 0.000 2.882 4.000
Sc 2.737 0.000 0.000
Sc 2.737 0.000 4.000
```

Record 6
Material: Sc2Te5O13
Method: DFT, PBE-GGA
State: optimized geometry

Computed properties:
The calculation puts the formation energy at -2.13 eV/atom. The calculation puts the mass density at 5.24 g cm⁻³. Its crystal system is triclinic.

```
40
Lattice="-0.424 -1.865 6.419 -7.513 -4.344 0.778 4.541 -9.441 -1.744" Properties=species:S:1:pos:R:3 pbc="T T T"
O -6.419 -8.896 6.122
O -3.134 -4.441 1.550
O -0.783 -3.936 0.170
- - -

What to do
Now duplicate the lines above up to the one that holds "-1.853 1.884", that line included.

Written answer
Record 1
Material: SrSmScO4
Method: DFT, PBE-GGA
State: optimized geometry

Computed properties:
The spin magnetization is 0.0 μB per cell. The calculation puts the formation energy at -3.63 eV/atom. The calculation puts the mass density at 5.59 g cm⁻³. Its crystal system is orthorhombic.

```
14
Lattice="-3.940 3.072 4.576 -1.610 -2.968 -5.873 -0.749 -5.122 2.793" Properties=species:S:1:pos:R:3 pbc="T T T"
Sr -2.541 -0.637 -1.707
Sr -3.401 -1.938 1.870
Sm -2.599 -7.401 -1.999
Sm -4.061 -0.081 4.838
O -2.027 0.160 2.661
O -1.368 -5.079 -0.576
O -4.250 -5.025 -1.249
O -3.665 -4.197 2.819
O -4.909 0.214 1.987
O -2.901 -2.647 -0.327
O -3.862 2.126 4.165
O -2.220 -5.660 -3.479
Sc -4.093 -3.556 4.700
Sc -2.572 -3.967 -1.838
```

Record 2
Material: Sm2ScTaO7
Method: DFT, PBE-GGA
State: optimized geometry

Computed properties:
The spin magnetization is 0.0 μB per cell. The calculation puts the formation energy at -3.79 eV/atom. The calculation puts the mass density at 7.20 g cm⁻³. Its crystal system is orthorhombic.

```
22
Lattice="-3.706 3.767 5.278 3.706 -3.767 5.278 3.706 3.767 -5.278" Properties=species:S:1:pos:R:3 pbc="T T T"
Ta 0.000 3.767 0.000
Ta 0.000 0.000 0.000
Sc 1.853 1.884 -2.639
Sc 1.853 -1.884 2.639
O 3.706 1.884 -1.612
O 2.235 4.014 3.956
O 2.235 -0.246 3.956
O 5.941 -0.246 1.322
O 1.471 -0.246 1.322
O 0.000 1.884 6.890
O 3.706 1.884 1.354
O 0.000 1.884 0.702
O -2.235 4.014 3.956
O 0.000 1.884 3.924
O 2.235 0.246 6.600
O 1.471 4.014 1.322
O 3.706 1.884 4.576
O 1.471 3.521 -1.322
Sm 0.000 0.000 5.278
Sm 3.706 0.000 0.000
Sm -1.853 1.884 2.639